Digital immortality is generally defined as the continuation of an active or passive digital presence after death. As people establish online identities, the likelihood that their digital presences will persist beyond their death increases. There are many ethical and moral implications associated with this idea. Does this mean that, one day, in the not too distant future, we may be able to transfer our minds into robots and artificial intelligence systems? Essentially it almost appears as some post-humous persistence of the human soul, or at least part of it, something of an oxymoron in itself. Is the originator in question truly dead or somewhat alive? What will be the consequences this will have on our relationship with the perceived finality of death?
The picture below was taken in October 1927 at the Fifth Solvay International Conference on Electrons and Photons, where the world’s most notable physicists met to discuss the newly formulated quantum theory.
The leading figures were Albert Einstein and Niels Bohr. Seventeen of the twenty-nine attendees were, or to be, Nobel Prize winners, including Marie Curie, who alone among them, had won Nobel Prizes in two separate scientific disciplines. In our exploration, the parti was the question, If we would have a chance, who would we like to ‘resurrect’? Maybe some of the most influential people in science who all in one way or other contributed to the development of such tools?
The approach would be informed by a number of AI tasks, firstly, animating the Fifth Solvay Conference photo, using AI to narrate the story of this particular conference, blending the animation with text-to-voice strategies. Additionally, the background music would be created using another AI method and lastly, creating generic background stories related to the event and personalities involved. Ideally, the process would culminate in the scientists telling their own stories, and in essence, mark their induction into digital immortality.
1 Animate the photos
The animation of the Solvay Conference photo, and the individual scientists frames was done using MyHeritage, an online genealogy platform with web, mobile, and software products and services, introduced by the Israeli company MyHeritage in 2003. Users of the platform can obtain their family trees, upload and browse through photos, and search through over 14 billion historical records, among other features including photo story teller and photo repair.
2. Story Generation
The narrative was created using; a neural network that generates text based on an initial text input.
3. Voice Generation
The text-to-voice service Stream Speak was then used to take all the text generated by and generated the voice-over scripts which were then synchronised with the animated media from the earlier steps.
4. Soundtrack Generation
The background music was explored on two fronts, the first method was inspired by the work of Sigurdur Skuli, based on generating classical piano music using a recurrent neural network (LSTM) trained on classical piano MIDI files. This approach has been explored by several other scholars [1] to see the possibilities of neural networks in predicting musical patterns. The second method was employing a readily available service, AIVA (Artificial Intelligence Virtual Artist), to generate a soundtrack without directly engaging with the code.
........
1.
The following is a PBE calculation of an optimized crystal structure of MgMn2P, from Alexandria via LeMat-Bulk.

CIF file:
```
data_MgMn2P
_chemical_formula_sum 'Mg4 Mn8 P4'
_cell_length_a 5.750
_cell_length_b 5.750
_cell_length_c 5.750
_cell_angle_alpha 90.00
_cell_angle_beta 90.00
_cell_angle_gamma 90.00
_symmetry_space_group_name_H-M 'F m -3 m'
_symmetry_Int_Tables_number 225
_symmetry_space_group_name_Hall '-F 4 2 3'
loop_
_atom_site_label
_atom_site_type_symbol
_atom_site_fract_x
_atom_site_fract_y
_atom_site_fract_z
_atom_site_occupancy
Mg1 Mg 0.000 0.000 0.000 1
Mn1 Mn 0.250 0.250 0.250 1
P1 P 0.000 0.000 0.500 1
```

Properties
ΔH_f (0 K) = 0.5 eV per formula unit
raw total energy = -6.204 eV per atom

***

2.
The following is a PBE calculation of an optimized crystal structure of SnTeS, from Alexandria via LeMat-Bulk.

CIF file:
```
data_SnTeS
_chemical_formula_sum 'Sn4 Te4 S4'
_cell_length_a 12.002
_cell_length_b 4.600
_cell_length_c 6.395
_cell_angle_alpha 90.00
_cell_angle_beta 92.26
_cell_angle_gamma 90.00
_symmetry_space_group_name_H-M 'C 1 2/m 1'
_symmetry_Int_Tables_number 12
loop_
_symmetry_equiv_pos_as_xyz
'x,y,z'
'-x,-y,-z'
'-x,y,-z'
'x,-y,z'
'x+1/2,y+1/2,z'
'-x+1/2,-y+1/2,-z'
'-x+1/2,y+1/2,-z'
'x+1/2,-y+1/2,z'
loop_
_atom_site_label
_atom_site_type_symbol
_atom_site_fract_x
_atom_site_fract_y
_atom_site_fract_z
_atom_site_occupancy
Sn1 Sn 0.245 0.000 0.244 1
Te1 Te 0.082 0.500 0.355 1
S1 S 0.151 0.000 0.870 1
```

Properties
E_form (uncorrected) = -0.1330 eV per atom
raw total energy = -3.890 eV per atom
polymorph energy (0 for the lowest one) = 0.06 eV/f.u.

***

3.
The following is a PBE calculation of an optimized crystal structure of TbNd7Dy12, from Alexandria via LeMat-Bulk.

CIF file:
```
data_TbNd7Dy12
_chemical_formula_sum 'Tb2 Nd14 Dy24'
_cell_length_a 11.335
_cell_length_b 11.335
_cell_length_c 11.335
_cell_angle_alpha 90.00
_cell_angle_beta 90.00
_cell_angle_gamma 90.00
_symmetry_space_group_name_H-M 'I m -3 m'
_symmetry_Int_Tables_number 229
_symmetry_space_group_name_Hall '-I 4 2 3'
loop_
_atom_site_label
_atom_site_type_symbol
_atom_site_fract_x
_atom_site_fract_y
_atom_site_fract_z
_atom_site_occupancy
Tb1 Tb 0.000 0.000 0.000 1
Nd1 Nd 0.000 0.000 0.500 1
Nd2 Nd 0.250 0.250 0.250 1
Dy1 Dy 0.000 0.247 0.247 1
```

Properties
ΔH_f (0 K) = 12.7 eV per formula unit
raw total energy = -4.026 eV per atom
polymorph energy (0 for the lowest one) = 8.10 eV/f.u.

***

4.
The following is a PBE calculation of an optimized crystal structure of Rb2FePdS4, from Alexandria via LeMat-Bulk.

CIF file:
```
data_Rb2FePdS4
_chemical_formula_sum 'Rb16 Fe8 Pd8 S32'
_cell_length_a 5.582
_cell_length_b 13.545
_cell_length_c 22.801
_cell_angle_alpha 90.00
_cell_angle_beta 90.00
_cell_angle_gamma 90.00
_symmetry_space_group_name_H-M 'F d d d'
_symmetry_Int_Tables_number 70
loop_
_symmetry_equiv_pos_as_xyz
'x,y,z'
'-x,-y,-z'
'-x+1/4,-y+1/4,z'
'x+1/4,y+1/4,-z'
'x,-y+1/4,-z+1/4'
'-x,y+1/4,z+1/4'
'-x+1/4,y,-z+1/4'
'x+1/4,-y,z+1/4'
........
For the first method, music21, a Python toolkit used for computer-aided musicology, was used to encode and decode the music MIDI files to musical notation. Keras was used to create and train the LSTM model. The second method was less hands-on and only involved uploading an input music file which AIVA would then build from, to create a new music file. The output music files were then added to the project as background tracks to check which ones would sound better when merged with the picture and voice.
Scientists Compilation
The compilation from all AI tools was done using the individual scientists narratives and the following results were obtained:
Final Compilation
Lastly, the Solvay Conference compilation was done, and the result can be seen below.
After creating the digital profiles of the scientists in this study, the process provoked thoughts around the open questions related to the concept of digital immortality. The legal hurdles linked to privacy, and the implications of a persistent existence beyond natural death point towards an ethical and legal Pandora’s box [2]. Others still insist though that digital immortality is just a ruse, unlikely to have any significant legal impact regardless of associated media assumptions and hyperbole.[3] The possibilities that digital immortality presents are interesting and also worrisome, with the added unknown being how properly digital immortals can learn and potentially evolve.
Deep Nostalgia is a project of IAAC, Institute for Advanced Architecture of Catalonia developed in the Master in Advanced Computation for Architecture and Design 2021/22 by
Students: Gerald Mandevhana, Hanna Lakk, Sidhant Choudhary and Mansoor Awais
Faculty: Mark Balzar and Zeynep Aksoz